The national weather service reported a total of
107 days with surface thermal inversions during
2010, the highest in the past 13 years. The largest
part was recorded during the winter months, when
the long and cold nights favor its formation. In the
dry season months it has been reported a 40% of
days with thermal inversion. The months of April
and December had the largest number of events with
16 and 17 days, respectively. The influence of high
pressure systems during the months of March to
May was responsible for the formation of surface
thermal inversions (NWM, 2012).
In this research we propose predictions models
of hourly concentrations of PM
, based on data
obtained at downtown Mexico city. We show results
obtained with two different methods, all of which
use past values of PM
as input. The simplest
method is persistence, which assigns hourly values
on the next day equal to the values at the present
day. Then we used the fuzzy inductive reasoning
approach that is a non-linear methodology based on
fuzzy logic and pattern recognition. We used
registered data of 4 year periods, each lasting six
months starting on December 1
. As explained
before, the months from December to May are the
ones that have higher levels of PM
in Mexico city metropolitan area.
In section 2 some basic concepts of the fuzzy
inductive reasoning approach are introduced. In
section 3 the methodology used is described, i.e. the
data, the fuzzy models development and the models
evaluation. Section 4 describes the results obtained.
Finally the conclusions of this research are given.
The conceptualization of the FIR methodology
arises of the General System Problem Solving
(GSPS) approach proposed by Klir (Klir and Elias,
2002). This methodology of modeling and
simulation is able to obtain good qualitative
relations between the variables that compose the
system and to infer future behavior of that system.
It has the ability to describe systems that cannot
easily be described by classical mathematics or
statistics, i.e. systems for which the underlying
physical laws are not well understood.
The Fuzzy Inductive Reasoning (FIR)
methodology, offers a model-based approach to
predicting either univariate or multi-variate time
series (Nebot et al., 2003); (Carvajal and Nebot,
1998). A FIR model is a qualitative, non-
parametric, shallow model based on fuzzy logic.
Fuzzy logic-based methods have not been applied
extensively in environmental science, however,
some interesting research can be found in the area
of modeling of pollutants (Mintz et al., 2005);
(Ghiaus, 2005); (Morabito and Versaci, 2003);
(Heo and Kim, 2004); (Yildirim and Bayramoglu,
2006); (Peton et al., 2000); (Onkal-Engin et al.,
2004), where different hybrid methods that make
use of fuzzy logic are presented for this task.
Visual-FIR is a tool based on the Fuzzy
Inductive Reasoning (FIR) methodology (runs under
Matlab environment), that offers a new perspective
- - -
Record 1
Below is LiTiP2O7 after structural relaxation, with properties calculated at the PBE-GGA level.

Properties
Calculated total energy ... -326.24 eV per cell
E above lowest polymorph ... 0.82 kcal/mol of atoms
ΔH_f (0 K) ... -2.8274 eV per atom

Cell: 8.679 5.180 13.484 Å, 90.00 117.15 90.00°
Atoms (fractional coordinates):
1 Li 0.059 0.238 0.195
2 Li 0.059 0.262 0.695
3 Li 0.941 0.738 0.305
4 Li 0.941 0.762 0.805
5 Ti 0.236 0.235 0.971
6 Ti 0.236 0.265 0.471
7 Ti 0.764 0.735 0.529
8 Ti 0.764 0.765 0.029
9 P 0.183 0.720 0.116
10 P 0.183 0.780 0.616
11 P 0.328 0.741 0.352
12 P 0.328 0.759 0.852
13 P 0.672 0.241 0.148
14 P 0.672 0.259 0.648
15 P 0.817 0.220 0.384
16 P 0.817 0.280 0.884
17 O 0.022 0.707 0.631
18 O 0.022 0.793 0.131
19 O 0.184 0.070 0.592
20 O 0.184 0.430 0.092
21 O 0.209 0.607 0.535
22 O 0.209 0.893 0.035
23 O 0.212 0.545 0.861
24 O 0.212 0.955 0.361
25 O 0.243 0.025 0.840
26 O 0.243 0.475 0.340
27 O 0.342 0.717 0.737
28 O 0.342 0.783 0.237
29 O 0.486 0.242 0.557
30 O 0.486 0.258 0.057
31 O 0.514 0.742 0.943
32 O 0.514 0.758 0.443
33 O 0.658 0.217 0.763
34 O 0.658 0.283 0.263
35 O 0.757 0.525 0.660
36 O 0.757 0.975 0.160
37 O 0.788 0.045 0.639
38 O 0.788 0.455 0.139
39 O 0.791 0.107 0.965
40 O 0.791 0.393 0.465
41 O 0.816 0.570 0.908
42 O 0.816 0.930 0.408
43 O 0.978 0.207 0.869
44 O 0.978 0.293 0.369

---

Record 2
Below is LiTi2P3O12 after structural relaxation, with properties calculated at the PBE-GGA level.

Properties
Calculated total energy ... -557.55 eV per cell
E above lowest polymorph ... 0.02 kcal/mol of atoms
ΔH_f (0 K) ... -3.0176 eV per atom

Cell: 8.609 8.702 14.731 Å, 90.00 125.09 90.00°
Atoms (fractional coordinates):
1 Li 0.026 0.220 0.321
2 Li 0.026 0.280 0.821
3 Li 0.974 0.720 0.179
4 Li 0.974 0.780 0.679
5 Ti 0.144 0.540 0.390
6 Ti 0.144 0.960 0.890
7 Ti 0.370 0.528 0.120
8 Ti 0.370 0.972 0.620
9 Ti 0.630 0.028 0.380
10 Ti 0.630 0.472 0.880
11 Ti 0.856 0.040 0.110
12 Ti 0.856 0.460 0.610
13 P 0.035 0.106 0.644
14 P 0.035 0.394 0.144
15 P 0.251 0.618 0.647
16 P 0.251 0.882 0.147
17 P 0.461 0.249 0.493
18 P 0.461 0.251 0.993
19 P 0.539 0.749 0.007
20 P 0.539 0.751 0.507
21 P 0.749 0.118 0.853
22 P 0.749 0.382 0.353
23 P 0.965 0.606 0.856
24 P 0.965 0.894 0.356
25 O 0.008 0.231 0.178
26 O 0.008 0.269 0.678
27 O 0.069 0.511 0.233
28 O 0.069 0.989 0.733
29 O 0.085 0.590 0.659
30 O 0.085 0.910 0.159
31 O 0.146 0.558 0.967
32 O 0.146 0.942 0.467
33 O 0.184 0.576 0.527
34 O 0.184 0.924 0.027
35 O 0.209 0.108 0.639
36 O 0.209 0.392 0.139
37 O 0.268 0.164 0.928
38 O 0.268 0.336 0.428
39 O 0.298 0.709 0.168
40 O 0.298 0.791 0.668
41 O 0.375 0.636 0.434
42 O 0.375 0.864 0.934
43 O 0.419 0.514 0.728
44 O 0.419 0.986 0.228
45 O 0.457 0.134 0.570
46 O 0.457 0.366 0.070
47 O 0.485 0.173 0.408
48 O 0.485 0.327 0.908
49 O 0.515 0.673 0.092
50 O 0.515 0.827 0.592
51 O 0.543 0.634 0.930
52 O 0.543 0.866 0.430
53 O 0.581 0.014 0.772
54 O 0.581 0.486 0.272
55 O 0.625 0.136 0.066
56 O 0.625 0.364 0.566
57 O 0.702 0.209 0.332
- - -
## Back to the piece
to the modeling and simulation of complex systems.
Visual-FIR designs process blocks that allow the
treatment of the model identification and prediction
phases of FIR methodology in a compact, efficient
and user friendly manner (Escobet et al., 2008).
The FIR model consists of its structure (relevant
variables) and a set of input/output relations (history
behavior) that are defined as if-then rules. Feature
selection in FIR is based on the maximization of the
models' forecasting power quantified by a Shannon
entropy-based quality measure. The Shannon
entropy measure is used to determine the uncertainty
associated with forecasting a particular output state
given any legal input state. The overall entropy of
the FIR model structure studied, H
is computed as
described in equation 1.
where p(i ) is the probability of that input state to
occur and H
is the Shannon entropy relative to the
input state. A normalized overall entropy H
defined in equation 2.
is obviously a real-valued number in the range
between 0.0 and 1.0, where higher values indicate an
improved forecasting power. The model structure
with highest H
value generates forecasts with the
smallest amount of uncertainty.
Once the most relevant variables are identified,
they are used to derive the set of input/output
relations from the training data set, defined as a set
of if-then rules. This set of rules contains the
behaviour of the system. Using the five-nearest-
neighbors (5NN) fuzzy inferencing algorithm the
five rules with the smallest distance measure are
selected and a distance-weighted average of their